Thursday, January 31, 2019


An adaptation of a quote I found:

I find myself becoming greedy.
Greedy for new experiences,
new sights,
new beginnings,
new vistas,
new explorations,
new people,
new opportunities,
new places.
I've become an addict of adventure
and I'm afraid there is no cure.

Wednesday, January 30, 2019


I am a giver.
'Tis far better to give than receive.'
That's a great statement.
To witness joy
on the face of another human being
because of something you did
(preferably undetected)
is a blessing beyond words.
To soften a heart.
To lift a spirit.
To heal a hurt.
To assist.
There just is nothing better.
Go give it a shot today.

Tuesday, January 29, 2019

Thanks, Mom!

All that I am,
all that I do,
every ounce of me
I owe to my Mom.
I didn't realize how often
or intently I watched her.
But I absorbed her.
I filtered things from time to time,
but I am very much a mini her.
I can't sit still.
I enjoy my music.
I don't follow my passions,
I hunt them down.
Family is my everything.
I rise. I fall. I rise again.
I fight.
I refuse to fail.
I speak up and speak out.
I listen, learn, and try new things.
I love with all that I am.
It's not always easy,
but I wouldn't want to be anything
but what you've molded me to be.
Thanks, Mom!

Monday, January 28, 2019


To loosely paraphrase . . .

You cannot change who you are,
but you can change
what you have in your head,
what you're thinking about,
how you're looking at things,
how you allow things to impact you.

Get some fresh air
into that noggin.
Figuratively and literally.

Saturday, January 26, 2019

Hang On

When the world seems
to have thrown you a curve ball,
things have gone off the rails,
life's gotten a little messy,
there's a plethora of wtf's . . .
hang on.
For it is when all seems lost,
all efforts deem futile,
hope is surely frayed,
that things begin to turn around.
Chin up.
Knees down.
We experience these down times
to learn lessons,
to be educated,
or to realize our blessings.
It's all good.
Hang On.

This too shall pass.

Friday, January 25, 2019

Have Fun

It's Have Fun at Work Day.
But . . . um . . . why not anywhere?!

If you have the day off -
have fun.
If you're retired -
have fun.
If you're a student -
have fun.
If you're a housewife/husband -
have fun.
Wherever you are,
whatever you do,
instill a little fun.

every day.

Thursday, January 24, 2019

It's Complimentary, Watson!

Today is National Compliment Day.
It's a beautiful day to make it
a more beautiful day.
First thing this morning,
look in that mirror and
tell yourself how amazing you are.
Let the gas station clerk
know what a great smile he has.
Comment on the deli person's
great red shirt.
Tell your spouse how special they are.
There is literally a plethora
of people and places to appreciate
if we lay down all our anger and hate
and see the beauty that abounds.
Have an extraordinary day, gorgeous!

Wednesday, January 23, 2019


Those extraordinary appendages
that protect what's loved
and allow for soaring.
We had them as children.
Spread in innocence.
Preened as teens.
Sadly tucked away
as the worldly weight
begins to lay itself upon us.
Dig 'em out.
Dust 'em off.
Flap 'em a few times.
Take off!
Remember what made you
free and happy and hopeful.

Tuesday, January 22, 2019


Hey there,
you special person, you.
Do you know
how amazing you are?
Do you realize
how special you are?
Do you understand
that you are here
for a reason, for a purpose?
Because you are loved.
The world needs you.
You add just the right amount
of 'you' to it.
Everyone else is taken.
Be your most perfectly beautiful YOU!

Monday, January 21, 2019


It is quite extraordinary
how very capable
each and every one of us are.
We can be dealt
some serious havoc:
health issues,
money troubles,
people problems.
And there is an
innate and overwhelming
drive to not only fight it all,
but to be victorious.
A 'little voice'.
That 'inner tug'.
The 'lion within'.
It is there.
Listen, pull and roar.
You've got this.
You're amazing.
You were born
to do great things!

== Here the piece breaks off for records of molecules ==
┌──
a) A 2-piece molecular cluster, C2H8NO2 overall. Source: the Open Molecules 2025 dataset; level of theory: the ωB97M-V functional and the def2-TZVPD basis.

```
! wB97M-V def2-TZVPD RIJCOSX def2/J DEFGRID3
* xyz -1 1
C -0.71 0.74 -1.28
N -0.42 -0.12 -0.12
C 0.84 -1.05 -0.28
O 0.52 -2.32 -0.45
H -0.45 0.25 -2.24
H -1.77 0.99 -1.30
H -0.13 1.66 -1.29
H -1.16 -0.82 -0.21
H 1.41 -0.57 -1.10
H 1.28 -0.96 0.75
H -0.05 0.14 2.12
H 0.13 1.48 2.62
O 0.51 0.59 2.79
*
```

Summary:
Orbital gap (eV): 6.62
LUMO level (eV): 4.1
Highest occupied orbital energy (eV): -2.5

Results of the Löwdin charge analysis, in e, for atoms 1 through 8: atom 1 (C): -0.206, atom 2 (N): -0.146, atom 3 (C): -0.561, atom 4 (O): -0.344, atom 5 (H): 0.061, atom 6 (H): 0.049, atom 7 (H): 0.045, atom 8 (H): 0.062

---

b) C2H8NO2 as an isolated structure. Source: the Open Molecules 2025 dataset; level of theory: the ωB97M-V functional and the def2-TZVPD basis.

```
! wB97M-V def2-TZVPD RIJCOSX def2/J DEFGRID3
* xyz -1 1
C -0.11 0.00 -0.10
O -0.97 -0.73 0.69
C 1.07 0.55 0.74
N 2.49 0.87 0.14
H -0.61 0.86 -0.58
H 0.29 -0.63 -0.90
H 0.71 1.35 1.38
H 1.61 1.16 -0.38
H 2.73 -0.02 -0.30
H 1.23 -0.29 1.43
H -3.65 -1.04 -1.45
H -1.80 -0.89 0.11
O -2.99 -1.20 -0.78
*
```

Summary:
Orbital gap (eV): 7.60
LUMO level (eV): 4.2
Highest occupied orbital energy (eV): -3.4

Results of the Löwdin charge analysis, in e, for atoms 1 through 8: atom 1 (C): -0.364, atom 2 (O): -0.121, atom 3 (C): -0.295, atom 4 (N): -0.024, atom 5 (H): 0.112, atom 6 (H): 0.113, atom 7 (H): 0.103, atom 8 (H): 0.023

---

c) A 2-piece molecular cluster, C2H8NO2 overall. Source: the Open Molecules 2025 dataset; level of theory: the ωB97M-V functional and the def2-TZVPD basis.

```
! wB97M-V def2-TZVPD RIJCOSX def2/J DEFGRID3
* xyz -1 1
C 2.11 -0.25 -0.97
O 1.93 0.04 0.30
H 3.10 -0.71 -0.84
H 1.24 -0.91 -1.30
H 2.22 0.66 -1.58
N -2.59 0.36 0.09
C -1.04 0.52 0.35
O -0.48 -0.62 0.43
H -2.71 0.02 -0.88
H -2.96 -0.43 0.53
H -0.71 1.25 -0.51
H -1.12 0.99 1.34
H 0.99 -0.30 0.56
*
```

Summary:
Orbital gap (eV): 7.91
LUMO level (eV): 4.5
Highest occupied orbital energy (eV): -3.4

Results of the Löwdin charge analysis, in e, for atoms 1 through 8: atom 1 (C): -0.302, atom 2 (O): -0.205, atom 3 (H): 0.060, atom 4 (H): 0.097, atom 5 (H): 0.055, atom 6 (N): -0.055, atom 7 (C): -0.569, atom 8 (O): -0.270

---

d) A 2-piece molecular cluster, C2H8NO2 overall. Source: the Open Molecules 2025 dataset; level of theory: the ωB97M-V functional and the def2-TZVPD basis.

```
! wB97M-V def2-TZVPD RIJCOSX def2/J DEFGRID3
* xyz -1 1
C -1.43 -0.16 -0.97
N -0.25 0.40 -0.32
C 1.03 -0.33 -0.60
O 2.07 0.51 -0.71
H -1.38 -0.26 -2.07
H -2.32 0.39 -0.67
H -1.52 -1.20 -0.63
H -0.18 1.39 -0.49
H 0.90 -0.92 -1.53
H 1.12 -1.02 0.28
H -0.22 0.09 1.79
H -1.65 0.11 1.92
O -0.91 -0.25 2.39
*
```

Summary:
Orbital gap (eV): 6.54
LUMO level (eV): 4.1
Highest occupied orbital energy (eV): -2.4
└──

Saturday, January 19, 2019


For me,
my first foundation is my faith.
Then, the constant, my mom.
Followed quickly by my brothers.
Covered then by lessons and learning.
Supported by family and friends.
Cracked by pain and loss and
betrayal and hurt.
Repaired by love and kindness.
Topped with opening the windows
and sharing your light.

If you believe yourself too grand,
too good, beyond, or better than
where you started from, come from,
walked through, or learned . . .
your structure will fall.

Embrace every moment.
Absorb every lesson.
Envelope every individual.

Build a strong foundation.

Friday, January 18, 2019


Today is National Winnie the Pooh Day!
What grand childhood memories.
The progression of my nicknames
is rooted in this tale.
My Lynette was shortened to Lynnie.
I then became 'Lynnie the Pooh"
which morphed into the ever-eternal 'Pooker'.
I had all kinds of Pooh items.
Books, pins, jewelry, stuffed creatures.
I watched the show whenever possible.
I still have a Pooh sleepshirt.
And you might find me quoting . . .
"Think. Think. Think."
Or when it's very blustery out,
I often hope to find a Piglet pasted to my window.
Doesn't matter any way.
Reach back and grab a hold
of what makes your heart happy.
Don't ever let go.
The wonderful thing about Tiggers,
is I'm the only one!
Enjoy the day.

Thursday, January 17, 2019

2 to 1

We are given two ears,
two eyes,
two hands,
two legs,
and one mouth.

Thinking unemotionally,
and 'by the numbers,'
it would seem
we should be doing
twice as listening,
twice as much observing,
twice as much assistance lending,
twice as much lifting up,
and very little spouting off.

Wednesday, January 16, 2019


I'm sort of stealing this from a friend.

Fingerprints are unique
to each person.
Mine is different from yours.
Yours is different than the person next to you.
Each is different than the guy at the gas station.
Every single line and dent  and ridge and bump and groove
is unique to every single person.
Beyond identification,
let's believe that is our unique way
to leave our imprint on the world.
The world needs your lines and dents.
The world needs my ridges and bumps.
And yes, the world needs the grooves
from the gas station guy.
Let us each appreciate what the other offers.
Perhaps instead of pointing out differences,
let us embrace them.

Let's imprint positivity.

Tuesday, January 15, 2019


Speaking only for my own little self,
I garner inspiration
from a great many opportunities:
great joy
great sorrow
tiny victories
stumbling blocks
beautiful sights
beautiful people
beautiful hearts

What inspires you?

Monday, January 14, 2019

Hello Monday!

For most of you that work,
or pretend to work,
'Monday' is a dreaded word.
It need not be.
Set small goals.
Realize your accomplishments.
Reward yourself.
Perhaps Mondays are great days
to celebrate the prior week's victories.
Then Monday won't be so dismal.
We will look forward to them.

Let's enjoy every second.

Saturday, January 12, 2019

Friday, January 11, 2019


There are a great many things
that irk me.
Laziness, betrayal, stupidity, cruelty.
Things like that.
But . . .
when we focus on the things that irk,
we lose sight of the blessings,
the grandeur, the beauty, the gifts
in our lives.
I am grateful!
For the Ch-Angels around me,
who lift me up and love me.
For the special people
with hearts too big for words.
For the kind people
whose self indulgence is non-existent.
And for the irk!!!
The stars do not shine
without the dark of night!

I am Grateful!
Thank you.

Thursday, January 10, 2019

Absorb, Absolve, Enable

None of us are getting out of here alive.
Make the most of every day.
Listen, learn, educate yourself.
Forgive others and grow from those lessons.
Assist and do what you can to help others.


Life's too precious
to do anything else.

Wednesday, January 9, 2019

Unrelated to this article: records of molecules:
/*
Density functional theory data (the ωB97M-V functional and the def2-TZVPD basis) for a gas-phase ion, C4H10N5O (charge +1) at a distorted geometry.

The geometry in XYZ format:
```
20
Properties=species:S:1:pos:R:3:forces:R:3:mulliken_charge:R:1
C -1.28192 0.50923 0.83534 -1.94 0.31 1.21 -0.591
C -1.88676 -0.33360 0.01744 -0.79 -1.71 -1.49 -0.168
C 0.51653 1.83638 1.43444 5.43 -1.92 -0.58 -0.524
C 0.13297 0.59047 1.10933 -0.82 1.49 -0.05 0.356
N -1.24783 -1.10668 -0.96794 3.38 4.20 1.93 -0.314
N 0.34875 0.52424 -1.40578 3.03 -0.90 -1.59 -0.947
N 0.88337 -0.59866 1.14120 -1.01 -0.23 0.60 -0.468
N 0.74736 -1.55774 -1.99034 2.87 -0.01 -1.60 -0.553
N -0.03332 -0.62789 -1.45488 -3.19 -0.88 -0.04 1.462
O 1.87057 2.15583 1.57313 -1.35 -1.37 0.33 -0.503
H -2.02931 1.14094 1.37152 1.02 -0.45 -0.11 0.328
H -2.92798 -0.64403 -0.04147 -0.12 0.99 0.47 0.434
H -0.03696 2.68744 1.39691 -1.86 2.12 0.16 0.496
H -1.65837 -1.87520 -1.33144 -1.00 -3.00 -1.73 0.188
H -0.23433 1.23502 -1.10919 -2.08 1.07 1.00 0.355
H 0.88973 -0.87504 2.09488 0.10 -0.89 0.79 0.262
H 1.77452 -0.77554 0.75085 0.89 0.65 -0.75 0.229
H 1.43992 -1.18424 -2.68854 -1.07 -0.08 1.22 0.333
H 0.34806 -2.40488 -2.32608 -0.88 -0.55 0.25 0.279
H 2.38500 1.30396 1.59065 -0.63 1.14 -0.01 0.348
```
Positions in Å, forces in eV/Å.

The charge is +1. Its SMILES is [H]/N=[N+](/N)N/C=C\C(N)=C\O. The calculation puts the total energy at -507.0069 hartree. Its HOMO energy (spin up / spin down) is -12.26 / -12.26 eV. As for the maximum force: 0.1126 hartree/bohr.



Density functional theory data (the ωB97M-V functional and the def2-TZVPD basis) for 2 unconnected molecules or ions with the total composition C4H10NO at a distorted geometry.

The geometry in XYZ format:
```
16
Properties=species:S:1:pos:R:3:forces:R:3:mulliken_charge:R:1
C 2.94473 1.21290 -0.93110 -0.18 -0.53 0.61 -0.783
C -1.84213 0.56537 0.80672 -2.24 0.40 -0.55 -0.231
N -2.67642 0.28635 -0.19218 -0.46 -0.21 0.13 -0.647
C -1.12669 -0.42326 -0.24233 0.59 0.57 -0.36 -0.417
C 0.20709 -0.87170 0.69779 1.36 -0.04 1.00 -0.546
O 1.24796 -1.06270 -0.05055 -0.34 -0.41 -0.46 -0.758
H 1.88020 1.05341 -1.02986 -0.31 0.37 -0.40 0.054
H 3.15234 2.11482 -0.35348 0.11 -0.06 -0.08 0.242
H 3.15506 0.29827 -0.37102 0.45 0.25 0.08 0.244
H -2.08597 0.17382 1.81214 0.75 -0.38 0.12 0.228
H -1.46221 1.60638 0.86102 1.00 -0.34 -0.03 0.267
H 3.46120 1.19466 -1.88003 0.07 0.16 -0.27 0.256
H -0.67023 0.09416 -1.06739 0.30 0.22 0.00 0.210
H -1.46063 -1.39701 -0.54958 -0.33 -0.11 0.24 0.307
H 0.38252 -0.08342 1.46515 -0.43 0.25 0.00 0.240
H -0.15364 -1.75564 1.26422 -0.37 -0.13 -0.01 0.332
```
Positions in Å, forces in eV/Å.

The charge is -1. The calculation puts the total energy at -288.2346 hartree. Its HOMO energy is -3.00 eV. As for the maximum force: 0.0455 hartree/bohr.



Density functional theory data (the ωB97M-V functional and the def2-TZVPD basis) for a molecular structure, C4H10NO at a distorted geometry.

The geometry in XYZ format:
```
16
*/
The records of molecules stop here:

You're Loved

You are a wonderful person.
You are kind and generous.
You are fair and loving.
You are sweet and trusting.
You are extraordinary.
You are unique.

You do NOT have the words
printed anywhere on your person.

Know your worth.
Know your value.
Know you're loved.

Tuesday, January 8, 2019


It is a teeny, tiny word
that wields unimaginable power.
Spoken to others,
you give them freedom
and opportunity
and drive.
Spoken to yourself,
you are given freedom
and opportunity
and drive.
Know your boundaries.
Know your worth.
But realize your potential.
Let's do a whole lot more
this year!

Monday, January 7, 2019

Who's Your Momma

Attached: molecular data:
~~~
Record 1
# C5H7N3

C5H7N3 in the gas phase (wB97M-V/def2-TZVPD, the Open Molecules 2025 dataset).

```
15
C5H7N3, DFT wB97M-V/def2-TZVPD
C -0.56 1.41 0.11
C -0.69 0.01 0.02
C 0.46 -0.83 -0.04
C -2.05 -0.56 0.08
C -3.24 -0.93 0.01
H 0.44 3.20 -0.01
H 1.45 1.71 -0.22
H -1.40 2.05 0.37
H 0.20 -1.94 -0.44
H 3.45 -1.09 0.68
H 2.33 -2.21 -0.35
H -4.22 -1.36 -0.36
N 0.62 2.15 -0.20
N 1.59 -0.28 0.18
N 2.69 -1.16 -0.09
```

Kohn-Sham gap in hartree: 0.3029
Structure (SMILES): C#CC(=C/N)/C=N/N
Calculated total energy in Ha: -358.822790

natural (NBO) atomic charge list, values in e, 8 entries: number 1, C, carries 0.14; number 2, C, carries -0.30; number 3, C, carries 0.06; number 4, C, carries -0.01; number 5, C, carries -0.29; number 6, H, carries 0.40; number 7, H, carries 0.42; number 8, H, carries 0.20

=====

Record 2
# C2H5BrSi

2 unconnected molecules or ions with the total composition C2H5BrSi (wB97M-V/def2-TZVPD, the Open Molecules 2025 dataset).

```
9
C2H5BrSi, DFT wB97M-V/def2-TZVPD
C 0.41 -0.90 -0.76
C 0.76 -2.05 -0.81
Si 0.01 0.92 -0.86
Br -1.56 0.54 2.77
H -0.68 -0.46 2.94
H 1.30 -2.93 -0.67
H -1.16 1.40 -1.79
H 1.23 1.61 -1.21
H -0.31 1.87 0.40
```

Kohn-Sham gap in hartree: 0.4097
Structure (SMILES): C#C[SiH3].Br
Calculated total energy in Ha: -2942.595318

natural (NBO) atomic charge list, values in e, 8 entries: number 1, C, carries -0.46; number 2, C, carries -0.17; number 3, Si, carries 0.80; number 4, Br, carries -0.18; number 5, H, carries 0.18; number 6, H, carries 0.23; number 7, H, carries -0.12; number 8, H, carries -0.16

=====

Record 3
# C6H12N2

C6H12N2 in the gas phase (wB97M-V/def2-TZVPD, the Open Molecules 2025 dataset).

```
20
C6H12N2, DFT wB97M-V/def2-TZVPD
C -0.52 0.83 1.09
C -1.16 -0.70 -1.70
C -0.46 2.23 0.60
N -0.95 -0.79 -0.26
C 0.32 -0.24 0.58
C 1.96 -0.73 -0.97
C 0.70 -0.90 1.80
N 1.41 0.16 -0.27
H -1.31 -1.63 0.19
H -1.25 0.59 1.85
H -0.52 -1.39 -2.26
H -2.20 -0.91 -1.95
H -0.92 0.31 -2.03
H -0.06 2.30 -0.41
H 0.23 2.80 1.24
H -1.43 2.72 0.63
H 2.84 -0.46 -1.56
H 1.61 -1.76 -1.04
H 0.01 -1.09 2.60
H 1.69 -1.34 1.87
```

Kohn-Sham gap (alpha / beta) in hartree: 0.3111 / 0.2523
Calculated total energy in Ha: -345.130914

natural (NBO) atomic charge list, values in e, 8 entries: number 1, C, carries 0.08; number 2, C, carries -0.42; number 3, C, carries -0.70; number 4, N, carries -0.67; number 5, C, carries 0.09; number 6, C, carries -0.04; number 7, C, carries -0.51; number 8, N, carries -0.41

=====

Record 4
# C2H3N3O

C2H3N3O in the gas phase (wB97M-V/def2-TZVPD, the Open Molecules 2025 dataset).

```
9
C2H3N3O, DFT wB97M-V/def2-TZVPD
C 0.69 -0.03 -0.21
C -1.28 -0.86 0.06
H 2.69 0.53 0.00
H -2.22 -1.47 0.18
H 0.13 1.99 0.32
N 1.93 -0.32 0.02
N -0.14 -1.29 -0.16
N -0.24 0.95 -0.11
O -1.56 0.50 -0.11
```

Kohn-Sham gap in hartree: 0.3495
Structure (SMILES): [H]/N=c1/nco[nH]1
Calculated total energy in Ha: -317.383140
~~~

When my life
seems to be in shambles,
or even mild disarray,
I take a deep breath,
and close my eyes,
and seek the wisdom
of my Momma.
She served me well for many years.
She taught me morals and ethics.
She taught me faith and ferocity.
She taught me tenacity and determination.
She taught me bravery and boldness.
She taught me positivity and perseverance.
When you are in a rut;
when things seem askew;
when life seems raw;
to whom do you turn?
I pray that each of you
finds a 'Momma' like mine.
A safe haven and harbor
for shelter, hope, and love.

Saturday, January 5, 2019


are extraordinary.
have definite purpose.
are beautiful.
are gifted.
Don't ever let anyone's
impaired vision of you
lessen how you feel about yourself!

Friday, January 4, 2019


We grow
by opening ourselves up
~ to new experiences
~ to new places
~ to new thoughts
~ to new perspectives
~ to new ideas
~ to new people.
Your comfort zone
is a great retreat,
to refresh and recuperate,
but nothing grows there.

Thursday, January 3, 2019


As the new year begins,
we set resolutions for ourselves.
Most are attainable
if we accomplish little goals
on the path to higher expectations.
The issue I have always had,
since I was a less-than-twenty something,
was my expectation that everyone else
would be as nice,
work as hard,
be as honest,
as I am.
Now . . . don't get me wrong.
I have made some serious mistakes.
I fall short every day of where I need to be.
But I give every thing I do my all.
My work and word are appendages.
I hold both in the highest esteem.
To find less than that in others
in bothersome, exhausting, and irritating.
I need to let it go. Perhaps you do, too.
We are in charge of ourselves.
I will continue to be the best me I can be.
Your actions and behavior will not lessen that.
I pray that I inspire you to improve yourself.

Wednesday, January 2, 2019


Breathe life
into tired days.
Breathe laughter
into rainy afternoons.
Breathe hope
into painful situations.
Breathe faith
into every struggle.
Breathe love
into everyone you meet.

Just Breathe!

Tuesday, January 1, 2019


Hello 2019!

It's a new year,
a new day,
a new you.
New outlooks,
new goals,
new adventures.
Positive mornings,
joyful days,
blessed nights.

Make it yours!